I started reading this book last night. When I finished the last page, I got out of bed, made breakfast, then stood in front of the bifolds looking out at the garden while drinking coffee. I watched a magpie watching me, and thought that as long as there are Danes, there maybe hope for the human race after all.
It was 4am, so I was probably a bit more emotional than I usually am.
Now I don’t read a lot of YA fiction. I think the last one was Predator’s Gold from the Mortal Engines series. But I actually made the effort to track this one one down after my much better half (she’s a huge Toksvig fan) played me an interview where Toksvig talked about her family’s involvement in a nationwide plan to the evacuate Danish Jews (or as the Danes liked to call them, Danes) from occupied Denmark, and Toksvig had written a short story about it. (I think the sacrifice and bravery of the Scandinavians during WWII has never received the recognition it deserved, so I wrote a novel about it a few years back)
I didn’t find Toksvig’s short story, but I did find this book, and as you may have already guessed, I think it’s certainly the best YA novel I’ve ever read.
Inserted here: calculated molecules
+++
Record 1
Formula: C8H9Cl2FN2O2
Source: the Open Molecules 2025 dataset
Level of theory: ωB97M-V with the def2-TZVPD basis set

Geometry as XYZ:
```
24
C8H9Cl2FN2O2 ωB97M-V with the def2-TZVPD basis set
H -0.29 2.83 3.34
H -0.38 -2.46 -5.51
H 3.04 0.16 -4.97
H 1.22 0.81 4.08
C 2.13 -0.33 -4.65
C 0.31 0.21 4.15
N -2.12 -0.17 3.51
C -0.77 0.71 3.22
H -1.96 2.54 2.73
C 1.41 -1.18 -5.45
C -0.12 -1.47 -3.61
C -1.16 2.17 3.42
C 1.68 -0.07 -3.35
F -0.44 0.47 1.94
H -0.01 0.29 5.20
N 0.57 -0.62 -2.84
O -3.21 0.34 3.21
H 1.72 -1.37 -6.47
Cl 2.58 1.00 -2.37
H 0.59 -0.87 4.00
H -1.53 2.34 4.44
O -1.98 -1.34 3.86
C 0.25 -1.77 -4.94
Cl -1.53 -2.21 -2.94
```

Frontier orbital gap ... 9.676 eV

---

Record 2
Formula: C8H9ClNO
Source: the Open Molecules 2025 dataset
Level of theory: ωB97M-V with the def2-TZVPD basis set

Geometry as XYZ:
```
20
C8H9ClNO ωB97M-V with the def2-TZVPD basis set
H -2.63 1.51 -2.22
C -2.26 0.97 -1.25
O 0.86 -1.82 -0.52
C -0.88 1.01 -0.85
C 0.75 0.77 0.86
C -3.14 0.23 -0.45
H -3.37 -0.98 1.35
H -0.02 1.46 -1.41
C -2.64 -0.30 0.73
C 3.05 -0.61 -0.55
H 3.24 -0.76 -1.58
H -4.23 0.10 -0.77
C 1.78 -1.12 -0.34
Cl 1.77 2.18 0.37
C -1.32 -0.15 1.09
H 1.02 0.70 1.88
N -0.49 0.58 0.34
H 3.75 -0.92 0.16
H 3.07 0.56 -0.35
H -1.19 -0.45 2.16
```

Total charge ... +1
Frontier orbital gap (alpha / beta) ... 7.530 / 7.530 eV

---

Energy above the lowest of the compared OMol25 structures with the same formula, charge and spin, respectively: 0.0 198.2 kJ/mol.

* * * * *

i) ORCA calculation (the ωB97M-V functional and the def2-TZVPD basis) on the ion C5H12N2 with charge +1.

The LUMO energy (alpha / beta) comes out at -3.8 / -3.8 eV. Its total charge is +1. The multiplicity is 2.

Geometry (Å):
C: -0.090 -1.928 0.210
C: 0.608 -0.698 0.847
C: 0.248 0.530 0.031
C: -0.398 1.662 0.328
N: -0.566 2.588 -0.711
C: -1.226 3.769 -0.695
N: 0.853 -3.107 0.007
H: -0.535 -1.772 -0.783
H: -0.884 -2.291 0.850
H: 1.690 -0.768 0.617
H: 0.466 -0.705 1.924
H: 0.441 0.309 -1.009
H: -0.616 2.056 1.314
H: -0.139 2.329 -1.589
H: -1.508 4.261 -1.615
H: -1.606 4.083 0.293
H: 0.338 -3.970 -0.169
H: 1.367 -3.325 0.876
H: 1.556 -3.022 -0.728


ii) ORCA calculation (the ωB97M-V functional and the def2-TZVPD basis) on the ion C5H12N2 with charge +1.

The LUMO energy (alpha / beta) comes out at -3.2 / -8.1 eV. Its total charge is +1. The multiplicity is 2.

Geometry (Å):
N: 1.026 -0.008 0.976
C: 1.275 -1.412 0.872
C: 0.233 -1.924 -0.172
C: -0.667 -0.726 -0.472
C: 0.190 0.503 -0.076
C: -0.662 1.743 0.296
N: -1.252 2.394 -0.832
H: 1.888 0.544 1.080
H: 2.292 -1.681 0.565
H: 1.066 -1.928 1.820
H: -0.233 -2.839 0.189
H: 0.794 -2.218 -1.058
H: -0.944 -0.722 -1.527
H: -1.561 -0.707 0.152
H: 0.832 0.721 -0.948
H: -1.395 1.431 1.029
H: -0.014 2.456 0.806
H: -0.693 2.349 -1.673
H: -2.173 2.025 -1.028


Taking the most stable structure as the zero point, the relative energies in kcal/mol are i) 13.8; ii) 0.0.
+++
The calculated molecules stop here

There were 8000 Jews living in Denmark when the Nazis invaded (April 1940). The country was small and ill-equipped to fight, so it submitted in pretty short order. In fact, the term Hitler’s Canary was coined by the British press, as they now viewed Denmark as a caged bird, singing for the Nazis. Unsurprisingly, as with most things regarding the British press, nothing could be further from the truth.
The Nazis planned to raid every Jewish house on the eve of Rosh Hashanah (29th September 1943), when they knew every family would be at home. But when the Danes got wind of the plan, they weren’t having any of it. They decided to help their Jewish friends and countrymen simply because it was the right thing to do.
So how does a small nation defy the Nazis and help 8000 people escape to Sweden? Well, it appear the answer is together.
== Between two parts of the entry: data records ==
[1]
Formula: C31H45BCoN8PS3
Source: the OMol25 dataset
Level of theory: ωB97M-V with the def2-TZVPD basis set

## Properties
Gap between HOMO and LUMO (alpha / beta)   8.82 / 5.22 eV
HOMO energy (alpha / beta)   -0.4682 / -0.4846 Eh
LUMO level (alpha / beta)   -3.91 / -7.96 eV

```
! RIJCOSX wB97M-V def2-TZVPD def2/J DEFGRID3
* xyz 2 5
Co -0.570 0.138 0.092
C -1.933 -2.892 -2.552
N -3.077 -2.383 -1.807
C -4.117 -3.115 -1.347
C -4.976 -2.241 -0.723
N -4.459 -0.996 -0.814
B -5.328 0.250 -0.365
N -4.490 1.484 0.095
C -4.936 2.753 -0.180
C -4.168 3.632 0.504
N -3.240 2.893 1.197
C -2.290 3.441 2.144
C -3.457 1.588 0.937
S -2.520 0.280 1.569
C -3.291 -1.080 -1.478
S -2.200 0.163 -1.813
H -2.042 -3.970 -2.630
H -1.011 -2.646 -2.021
H -1.913 -2.448 -3.547
H -4.185 -4.174 -1.502
H -5.919 -2.421 -0.246
H -6.010 -0.144 0.538
H -5.961 0.598 -1.319
H -5.767 2.917 -0.835
H -4.203 4.701 0.569
H -1.782 4.293 1.694
H -1.567 2.666 2.391
H -2.809 3.760 3.047
C 0.994 1.764 -2.710
P 1.070 0.159 -1.843
C 0.845 -1.080 -3.146
C 1.359 -2.361 -2.951
C 1.160 -3.345 -3.904
C 0.449 -3.057 -5.062
C -0.061 -1.783 -5.265
C 0.133 -0.797 -4.309
C 2.813 -0.013 -1.374
C 3.805 0.140 -2.344
C 5.140 0.053 -1.995
C 5.498 -0.204 -0.677
C 4.518 -0.384 0.287
C 3.178 -0.287 -0.060
H 1.576 1.733 -3.631
H 1.412 2.537 -2.065
H -0.034 2.031 -2.950
H 1.934 -2.586 -2.060
H 1.573 -4.331 -3.752
H 0.306 -3.822 -5.813
H -0.599 -1.551 -6.172
H -0.271 0.190 -4.485
H 3.536 0.318 -3.377
H 5.902 0.176 -2.749
H 6.541 -0.277 -0.407
H 4.798 -0.606 1.307
H 2.413 -0.443 0.692
C 3.867 2.714 3.558
C 2.424 3.191 3.581
N 1.731 3.009 2.297
C 1.912 4.061 1.294
C 2.990 3.755 0.261
C 1.036 1.905 2.012
C 0.877 0.851 3.064
N 0.477 1.694 0.847
H 4.298 2.796 4.553
H 4.475 3.310 2.883
H 3.934 1.675 3.242
H 2.379 4.256 3.812
H 1.860 2.686 4.362
H 2.158 4.973 1.837
H 0.947 4.253 0.815
H 3.978 3.761 0.712
H 2.977 4.512 -0.521
H 2.851 2.777 -0.198
H 0.272 1.221 3.891
H 1.843 0.553 3.464
H 0.382 -0.020 2.640
H 0.680 2.428 0.175
C 0.914 -4.572 2.255
N -0.423 -4.004 2.352
C -1.435 -4.482 3.157
C -2.507 -3.677 2.974
N -2.134 -2.727 2.053
C -0.861 -2.927 1.682
S 0.087 -2.068 0.523
H 0.894 -5.562 2.704
H 1.626 -3.941 2.784
H 1.199 -4.650 1.208
H -1.300 -5.341 3.782
H -3.482 -3.693 3.419
H -2.692 -1.937 1.744
*
```



[2]
Formula: C31H45Cl6PTb
Source: the OMol25 dataset
Level of theory: ωB97M-V with the def2-TZVPD basis set

## Properties
Gap between HOMO and LUMO (alpha / beta)   4.25 / 4.49 eV
HOMO energy (alpha / beta)   -0.0670 / -0.0758 Eh
LUMO level (alpha / beta)   2.43 / 2.43 eV

```
! RIJCOSX wB97M-V def2-TZVPD def2/J DEFGRID3
* xyz -1 7
Tb 1.918 1.307 0.659
Cl 2.373 3.746 1.187
P -0.479 -0.281 -0.153
C 2.436 -0.889 0.588
H 3.016 -1.520 -0.101
H 2.298 -1.467 1.528
C -1.845 0.960 0.178
C -0.635 -1.656 1.119
C -3.262 0.660 -0.328
H -1.874 0.929 1.285
C -4.230 1.706 0.232
H -3.295 0.682 -1.428
H -3.574 -0.350 -0.021
C -3.812 3.140 -0.116
H -5.239 1.500 -0.138
H -4.256 1.596 1.324
C -2.366 3.429 0.301
H -3.923 3.292 -1.199
== Back to the entry ==
Toksvig tells the story from the viewpoint of a young Danish boy growing up during the occupation, surrounded by his surreally eccentric family. I always think that when you want to tell a story about a nation, then the best way to do it is from a much smaller viewpoint, and children are great for this. Basme sees the war through eyes that become less childlike as the atrocities come closer to the people he loves. The courage you see in him is reflected across the whole country, which is what makes this such a powerfully funny and terrifying story. The prose is grim, and still manages to carry a hint of dark humour, the dialogue is as good as you’d expect from Sandi Toksvig and the pace is masterful, slow to begin then building to a dramatic race against time as the whole of Denmark comes together in what must be one of the greatest national acts of courage and sacrifice in history.
What I also liked about this story was that the author didn’t shy away from some of the painful truths that get glossed over when retelling tales of war: not all Germans were bad: indeed many of the Jews made their escape because German officers and men turned a blind eye to what was happening. And not all Danes were good: some of the Jews were betrayed by fanatical Danish nazis who in some ways, the author said, were worse than the people they were fighting.
Yes, I’m going to give it ten out of ten. An important, overlooked piece of history that needs to be brought out into the open. What the Danes did back then should serve as an example of how tyranny can be defeated today.